Copy all of the notes below exactly.
'''
Here is 3 unconnected molecules or ions with the total composition C8H24ClN2O2 from the OMol25 dataset. Energies are from the ωB97M-V functional and the def2-TZVPD basis.

Properties
E_HOMO: -12.8 eV
Kohn-Sham gap: 10.7 eV
LUMO: -2.12 eV
Relative energy (zero: lowest compared OMol25 entry of this formula, charge and spin): 61.51 kJ/mol
Total charge: +1
2S+1: 1

Each line ends with the Mulliken charge.
Cartesian coordinates (Å):
C: -3.98 1.96 -3.37  -1.33
C: -2.91 1.44 -2.44  0.24
C: -3.28 0.11 -1.72  -0.56
O: -4.64 0.29 -1.38  -0.31
C: -5.13 -0.56 -0.31  -0.73
N: -1.54 1.24 -3.02  -0.12
H: -0.76 1.06 -2.25  0.03
H: -1.46 0.54 -3.76  0.37
H: -1.25 2.15 -3.43  0.42
H: -4.21 1.15 -4.10  0.34
H: -3.67 2.83 -3.96  0.41
H: -4.93 2.11 -2.75  0.33
H: -2.79 2.21 -1.69  0.16
H: -2.78 -0.09 -0.83  0.47
H: -3.01 -0.78 -2.34  0.31
H: -5.55 -1.49 -0.69  0.29
H: -5.93 -0.11 0.22  0.28
H: -4.35 -0.78 0.45  0.29
C: 1.28 -0.27 2.36  -1.17
C: 2.77 -0.12 1.98  0.11
C: 3.78 -0.98 2.73  -0.60
O: 4.97 -1.01 2.00  -0.34
C: 5.98 -1.38 2.99  -0.75
N: 2.70 -0.71 0.58  -0.16
H: 2.39 -1.70 0.52  0.41
H: 2.05 -0.15 -0.10  -0.03
H: 3.62 -0.68 0.08  0.43
H: 1.16 -0.15 3.43  0.37
H: 0.95 -1.35 2.09  0.32
H: 0.61 0.40 1.78  0.36
H: 3.06 0.91 2.05  0.31
H: 3.26 -1.93 2.81  0.32
H: 3.95 -0.53 3.74  0.38
H: 6.93 -1.38 2.45  0.29
H: 5.84 -2.38 3.42  0.31
H: 6.07 -0.64 3.79  0.33
Cl: 0.82 0.77 -1.32  -0.76


{
  "formula": "C27H77NO23",
  "method": "wB97M-V/def2-TZVPD",
  "elements": ["O", "O", "O", "O", "O", "O", "O", "O", "O", "O", "O", "O", "O", "O", "O", "O", "O", "O", "O", "O", "O", "O", "O", "N", "C", "C", "C", "C", "C", "C", "C", "C", "C", "C", "C", "C", "C", "C", "C", "C", "C", "C", "C", "C", "C", "C", "C", "C", "C", "C", "C", "H", "H", "H", "H", "H", "H", "H", "H", "H", "H", "H", "H", "H", "H", "H", "H", "H", "H", "H", "H", "H", "H", "H", "H", "H", "H", "H", "H", "H", "H", "H", "H", "H", "H", "H", "H", "H", "H", "H", "H", "H", "H", "H", "H", "H", "H", "H", "H", "H", "H", "H", "H", "H", "H", "H", "H", "H", "H", "H", "H", "H", "H", "H", "H", "H", "H", "H", "H", "H", "H", "H", "H", "H", "H", "H", "H", "H"],
'''
Here is 3 unconnected molecules or ions with the total composition C8H24ClN2O2 from the OMol25 dataset. Energies are from the ωB97M-V functional and the def2-TZVPD basis.

Properties
E_HOMO: -12.8 eV
Kohn-Sham gap: 10.7 eV
LUMO: -2.12 eV
Relative energy (zero: lowest compared OMol25 entry of this formula, charge and spin): 61.51 kJ/mol
Total charge: +1
2S+1: 1

Each line ends with the Mulliken charge.
Cartesian coordinates (Å):
C: -3.98 1.96 -3.37  -1.33
C: -2.91 1.44 -2.44  0.24
C: -3.28 0.11 -1.72  -0.56
O: -4.64 0.29 -1.38  -0.31
C: -5.13 -0.56 -0.31  -0.73
N: -1.54 1.24 -3.02  -0.12
H: -0.76 1.06 -2.25  0.03
H: -1.46 0.54 -3.76  0.37
H: -1.25 2.15 -3.43  0.42
H: -4.21 1.15 -4.10  0.34
H: -3.67 2.83 -3.96  0.41
H: -4.93 2.11 -2.75  0.33
H: -2.79 2.21 -1.69  0.16
H: -2.78 -0.09 -0.83  0.47
H: -3.01 -0.78 -2.34  0.31
H: -5.55 -1.49 -0.69  0.29
H: -5.93 -0.11 0.22  0.28
H: -4.35 -0.78 0.45  0.29
C: 1.28 -0.27 2.36  -1.17
C: 2.77 -0.12 1.98  0.11
C: 3.78 -0.98 2.73  -0.60
O: 4.97 -1.01 2.00  -0.34
C: 5.98 -1.38 2.99  -0.75
N: 2.70 -0.71 0.58  -0.16
H: 2.39 -1.70 0.52  0.41
H: 2.05 -0.15 -0.10  -0.03
H: 3.62 -0.68 0.08  0.43
H: 1.16 -0.15 3.43  0.37
H: 0.95 -1.35 2.09  0.32
H: 0.61 0.40 1.78  0.36
H: 3.06 0.91 2.05  0.31
H: 3.26 -1.93 2.81  0.32
H: 3.95 -0.53 3.74  0.38
H: 6.93 -1.38 2.45  0.29
H: 5.84 -2.38 3.42  0.31
H: 6.07 -0.64 3.79  0.33
Cl: 0.82 0.77 -1.32  -0.76


{
  "formula": "C27H77NO23",
  "method": "wB97M-V/def2-TZVPD",
  "elements": ["O", "O", "O", "O", "O", "O", "O", "O", "O", "O", "O", "O", "O", "O", "O", "O", "O", "O", "O", "O", "O", "O", "O", "N", "C", "C", "C", "C", "C", "C", "C", "C", "C", "C", "C", "C", "C", "C", "C", "C", "C", "C", "C", "C", "C", "C", "C", "C", "C", "C", "C", "H", "H", "H", "H", "H", "H", "H", "H", "H", "H", "H", "H", "H", "H", "H", "H", "H", "H", "H", "H", "H", "H", "H", "H", "H", "H", "H", "H", "H", "H", "H", "H", "H", "H", "H", "H", "H", "H", "H", "H", "H", "H", "H", "H", "H", "H", "H", "H", "H", "H", "H", "H", "H", "H", "H", "H", "H", "H", "H", "H", "H", "H", "H", "H", "H", "H", "H", "H", "H", "H", "H", "H", "H", "H", "H", "H", "H"],